(Request)
Could you repeat every line below that contains the word "Eh"?

(Listing)
<<<
# C14H17BrN3O6W

A structure of composition C14H17BrN3O6W (ωB97M-V with the def2-TZVPD basis set, OMol25).

CARTESIAN COORDINATES (ANGSTROEM)
W 0.055 0.210 0.344
Br 1.306 2.394 2.617
O 1.892 -0.476 -0.066
O 0.341 3.694 -1.768
O -0.719 -1.619 0.707
O -0.845 -0.305 -1.584
O 3.990 0.282 -0.364
O -0.481 -3.540 1.865
N -1.666 1.664 0.457
N 0.791 1.738 -0.652
N 0.564 -0.229 2.379
C -2.280 -1.492 -3.083
C 1.730 0.216 4.405
C -0.870 -1.340 -3.679
C -2.202 -0.871 -1.689
C -1.485 2.615 -0.688
C 0.940 -1.999 3.918
C 0.442 -1.523 2.733
C 1.600 -1.114 4.763
C 2.197 1.715 -1.030
C 1.190 0.614 3.196
C -0.295 -2.372 1.718
C 0.015 -1.103 -2.482
C -0.027 2.765 -1.098
C 2.812 0.443 -0.461
H 0.290 -2.015 -1.952
H -2.570 -2.538 -3.005
H -2.608 1.284 0.441
H -3.020 -0.985 -3.697
H -0.556 -2.227 -4.225
H -2.883 -0.033 -1.551
H -2.021 2.216 -1.548
H 0.899 -0.503 -2.673
H 2.234 0.933 5.035
H -2.322 -1.596 -0.890
H 2.314 1.726 -2.116
H -1.893 3.597 -0.459
H 2.737 2.578 -0.643
H 2.013 -1.458 5.702
H -1.598 2.187 1.326
H -0.823 -0.489 -4.356
H 0.810 -3.046 4.152

As for the net charge: +1. The calculation puts the HOMO energy (spin up / spin down) at -11.464 / -13.025 eV. Its multiplicity is 3. Its energy relative to the best compared isomer or geometry (same formula, charge and spin) is 8.2 kcal/mol. As for the frontier orbital gap (spin up / spin down): 6.94 / 8.61 eV. Its expectation value of S² is 2.01. For the strongest force on any atom, the calculation gives 0.021 Eh/bohr. The calculation puts the lowest unoccupied orbital energy (spin up / spin down) at -4.53 / -4.41 eV.
>>>

(Outcome)
As for the net charge: +1. The calculation puts the HOMO energy (spin up / spin down) at -11.464 / -13.025 eV. Its multiplicity is 3. Its energy relative to the best compared isomer or geometry (same formula, charge and spin) is 8.2 kcal/mol. As for the frontier orbital gap (spin up / spin down): 6.94 / 8.61 eV. Its expectation value of S² is 2.01. For the strongest force on any atom, the calculation gives 0.021 Eh/bohr. The calculation puts the lowest unoccupied orbital energy (spin up / spin down) at -4.53 / -4.41 eV.